News Article CPIPG Czech Republic investments report
by Property Forum | Report

== Records of crystals from another source follow ==
+++
MnInBrF4 | GGA+U | relaxed

**V**: 273.8 Å³/cell
**Electronic total energy**: -4.98 eV per atom
**Space group**: C2/m, No. 12

a b c (Å): 6.609 6.609 7.169
angles (deg): 73.96 73.96 68.07
Site moments in Bohr magnetons follow the coordinates.
Positions (direct):
Br 0.866 0.866 0.788  0.01
Mn 0.240 0.240 0.814  4.67
In 0.633 0.633 0.772  0.02
F 0.653 0.087 0.215  0.02
F 0.578 0.578 0.111  0.01
F 0.347 0.913 0.785  0.02
In 0.367 0.367 0.228  0.02
F 0.913 0.347 0.785  0.02
Br 0.134 0.134 0.212  0.01
F 0.356 0.356 0.522  0.02
Mn 0.760 0.760 0.186  4.67
F 0.644 0.644 0.478  0.02
F 0.087 0.653 0.215  0.02
F 0.422 0.422 0.889  0.01
+++

S&P Global Ratings has downgraded CPIPG’s rating from BBB- to BB+ with a negative outlook. CPIPG has communicated an update for its stakeholders concerning recent events and news.

The Group, as it declares, had no indication a downgrade was coming. S&P was made aware of CPIPG's recent bond issuance plans and assigned a BBB- rating to the transaction. At year-end 2023, Group credit metrics were within S&P’s rating guidance. The company recently outlined to the rating agencies the additional steps that CPIPG will take within months around disposals, minority equity, debt repayment, capital structure, and governance. As the company explains, their efforts to simplify the group by preparing for the squeeze-out of S Immo by Immofinanz are positive for bondholders.

The company does not consider the immediate impact of S&P’s downgrade as significant. CPIPG estimates interest expense will increase by about €3 million in 2024 and between €10 to €20 million in 2025, depending on the pace of debt repayment. None of the Group’s financing arrangements contain any cancellation options or similar provisions, and therefore CPIPG’s liquidity position is unaffected.

**What comes next are materials data, not part of the article**
-- begin --
{"formula": "LaCo2SbO6", "functional": "GGA+U", "state": "optimized geometry", "density_g_cm3": 6.58, "sg": "R3", "energy_ev_per_cell": -65.62, "vol_a3_per_fu": 119.7, "lattice_angstrom": [[-2.956, 4.454, -0.977], [-4.961, 0.497, 2.162], [-0.787, 3.707, 4.171]], "species": ["La", "Co", "Co", "Sb", "O", "O", "O", "O", "O", "O"], "frac_coords": [[0.783, 0.783, 0.652], [0.526, 0.526, 0.423], [0.009, 0.009, 0.974], [0.311, 0.311, 0.066], [0.660, 0.245, 0.210], [0.245, 0.885, 0.210], [0.885, 0.660, 0.210], [0.329, 0.733, 0.756], [0.733, 0.181, 0.756], [0.181, 0.329, 0.756]]}
-- stop --
**Here the article continues**

CPIPG also explains recent news related to its London acquisition. As the company states in its press report, Metrogate is a 21,700-square-foot freehold property in Kensington which is leased to a student accommodation provider. In Q2 2020, the owner of Metrogate, Laroche Investment Limited, agreed to sell the property to Pisach Residential Limited at a price significantly below market value because the tenant had stopped paying rent due to COVID-19 restrictions. The closing process was elongated due to the backdrop at the time. Before the completion date, Pisach began marketing a 50% stake in the property to other investors at a higher price, because the tenant had resumed paying rent. Metrogate Melrose Investments Limited, one of the investors approached by Pisach, subsequently approached CPIPG about a potential purchase; we, in turn, decided to buy a 100% stake. CPIPG paid £19.5 million for the property, or £900 per square foot. The transaction underwent full legal due diligence (CPIPG was advised by law firm Memery Crystal).

As CPIPG embarked on its disposal strategy from August 2022, it earmarked Metrogate for sale given its modest size, potential investor interest and high probability of completion. The sale price in 2024 was equal to CPIPG’s reported book value as of 31 Dec 2023, which was lower than the initial acquisition price as a result of softer UK real estate prices since the acquisition date. The buyer of Metrogate, who is an experienced investor in the local market, was represented by a top-tier UK law firm, Mischon de Reya, which confirmed that the buyer is not a politically exposed or sanctioned person.

CPIPG also explains an acquisition of Buxmead, a property consisting of 20 apartments in Hampstead. Developed by Harrison Varma, it was initially successful, with nine apartments sold at more than £2,000 per square foot. As the post-Brexit environment slowed down sales, Harrison Varma began to experience difficulties with development loans provided by a leading UK bank. As a result, the bank required the developer to conduct an open market tender (via Savills) for the sale of the remaining 11 apartments. This was a competitive process, and CPIPG was selected as the winning bidder. CPIPG was represented by CMS on the purchase, who conducted full due diligence. The purchase price was financed by CPIPG with a bridge loan provided by Barclays and Deutsche Bank.

At the point of acquisition, the individual units were mostly shell and core and not ready for rental or sale. The units required further capital investments of several million pounds, which took a further two years to finalise. Thus, the purchase price was about £1,000 per square foot, significantly lower than the other fully completed units, as identified by our short seller. That is because, as CPIPG explains, it got exceptional value by bailing out a troubled developer and their lender. CPIPG is in the process of selling the Buxmead apartments.

CPIPG commented also on its continued progress on disposals. The Group’s subsidiary, S Immo AG, announced the disposal of several commercial and residential assets across German cities for a total transaction volume of €255 million. Year-to-date, CPIPG has closed more than €600 million of disposals (€340 million in Q1 2024), including assets in Germany, Poland, Romania, Italy, and Dubai. CPIPG has also signed more than €600 million in further disposals (including the recent S Immo announcement) that will close in the coming months. Cash received by the Group will be primarily used to reduce leverage.